
Arrow Drilling is a locally owned company serving NW Oregon since 1956. We are committed to providing professional well drilling products & services for our customers.

Your Trusted
oregon Well Drilling Partner.


Years of Experience

About Our Company

Arrow Drilling is a locally owned company serving NW Oregon since 1956. We are committed to providing a quality product and service for our customers.

John Stadeli, owner, is a third-generation driller with over 40 years of experience in the drilling industry. He leads a crew of professionals who follow his lead to provide great service to our customers.

At Arrow Drilling, we take pride in preserving and protecting the resource while providing personalized, professional service to all our customers.

Oregon Ground Water Association
NGWA Groundwater Association
Pacific Northwest Ground Water Association
Oregon International Ground Source Heat Pump Association


What People Are saying

“I called John at arrow to get a well drilled. I’m a DIY guy so I had a lot of questions. John answered all my questions and I never felt rushed. His guys came out to drill and were very professional and had good attitudes.”

– CarClassics72

years of drilling

feet drilled

Wells installed

Drill Rigs

Licensed Drillers



Over the years we have been asked many questions about the water well drilling process in Oregon. Typically, the most common questions about water well drilling revolve around the drilling process, water quality, depth of the well, and the associated costs involved.

The depth of a water well can vary a lot depending on different things:

  • Ground Stuff: It all depends on what’s going on underground. Some places have water closer to the surface, while others have it deeper down.
  • Water Table: Think of it like the level where the ground gets soggy. Wells can be shallow (above this level) or deep (below it), depending on where they tap into the water.
  • How Much Water You Need: If you’re just using water for your house, you might not need a super deep well. But if you’re doing big stuff like farming or industry, you might need to dig deeper to make sure you’ve got enough.
  • Fancy Drilling Gear: Newer tech means we can dig deeper more easily. But going deeper usually means spending more money.
  • Rules and Stuff: Some places have rules about how deep your well has to be, usually to keep the water clean and safe.

So basically, how deep your well needs to be depends on where you are, how much water you need, and what’s underground. It’s always a good idea to chat with experts or local folks who know the area to figure out the best depth for your well!

The cost of drilling a new water well in Oregon can vary based on several factors:

  • Location within Oregon: Prices may differ between rural areas, suburbs, and urban regions of Oregon due to accessibility, terrain, and local drilling regulations.
  • Depth of the Well: Deeper wells typically cost more to drill because they require more time, labor, and specialized equipment. Oregon’s diverse geological landscape can influence drilling depth and complexity.
  • Geological Conditions in Oregon: The type of rock or soil in Oregon being drilled through can impact the drilling process and cost. Certain areas may have harder formations, affecting drilling difficulty and expenses.
  • Drilling Method: Various drilling methods are used in Oregon, each with its own associated costs. Factors such as soil composition and access constraints can influence the choice of drilling method.
  • Permitting and Regulatory Costs in Oregon: Oregon may have specific permitting requirements or regulations for well drilling, adding to the overall cost. Ensuring compliance with local regulations is essential.
  • Additional Services: Additional services like well casing, pump installation, and water quality testing can contribute to the total cost of drilling a new water well in Oregon.
  • Market Conditions in Oregon: Factors such as market demand, availability of drilling equipment, and labor costs can influence pricing for well drilling services in Oregon.

Overall, the cost to drill a new water well in Oregon can range from a few thousand to tens of thousands of dollars or more. It’s essential for individuals in Oregon to obtain quotes from reputable drilling companies, consider all associated costs carefully, and ensure compliance with Oregon’s regulatory requirements before proceeding with drilling a new water well.

[What comes next are records of crystals, not part of the entry]
........
A plane-wave DFT calculation with GGA-PBE was carried out for a relaxed structure of LuMgInNi.

Geometry as POSCAR:
```
LuMgInNi
1.0
0.000 3.413 3.413
3.413 0.000 3.413
3.413 3.413 0.000
Lu Mg In Ni
1 1 1 1
Cartesian
0.000 0.000 0.000
3.413 3.413 3.413
1.706 1.706 1.706
5.119 5.119 5.119
```

Its calculated volume is 19.88 Å³ per atom. The calculation puts the total magnetic moment at 0.005 μB per cell. Its density is 7785 kg/m3. Its crystal system is cubic. The symmetry is No. 216. Its calculated total energy is -15.32 eV per formula unit.

=====

A plane-wave DFT calculation with GGA-PBE was carried out for a relaxed structure of Tb2ErCo2B2P3.

Geometry as POSCAR:
```
Tb2ErCo2B2P3
1.0
-1.930 1.930 10.898
1.930 -1.930 10.898
1.930 1.930 -10.898
Tb Er Co B P
2 1 2 2 3
Cartesian
0.000 0.000 3.009
0.000 0.000 18.788
0.000 0.000 10.898
1.930 0.000 5.449
0.000 1.930 5.449
0.000 0.000 6.221
0.000 0.000 15.575
0.000 0.000 0.000
0.000 0.000 8.193
0.000 0.000 13.604
```

Its calculated volume is 16.24 Å³ per atom. The calculation puts the total magnetic moment at 0.004 μB per cell. Its density is 7336 kg/m3. Its crystal system is tetragonal. The symmetry is No. 139. Its calculated total energy is -66.55 eV per formula unit.

=====

A plane-wave DFT calculation with GGA-PBE was carried out for a relaxed structure of Nb2Ni3Mo4N3.

Geometry as POSCAR:
```
Nb2Ni3Mo4N3
1.0
4.356 -2.541 0.000
4.356 2.541 0.000
-2.879 0.000 13.359
Nb Ni Mo N
4 6 8 6
Cartesian
2.181 2.117 8.264
2.212 2.117 11.775
3.620 -2.117 1.584
3.652 -2.117 5.095
0.323 0.992 9.999
3.636 0.832 3.340
1.762 -0.992 3.319
4.071 0.992 10.040
2.197 -0.832 10.019
5.510 -0.992 3.360
2.216 0.436 1.243
2.186 0.380 5.444
0.776 -0.436 7.922
0.746 -0.380 12.124
5.086 0.380 1.235
5.057 0.436 5.437
3.647 -0.380 7.915
3.617 -0.436 12.116
0.738 1.271 6.679
0.812 1.391 13.357
3.581 1.391 6.681
2.178 -1.271 0.000
2.252 -1.391 6.678
5.021 -1.391 0.002
```

Its calculated volume is 12.32 Å³ per atom. The calculation puts the total magnetic moment at 0.038 μB per cell. Its density is 8844 kg/m3. Its crystal system is monoclinic. The symmetry is No. 15. Its calculated total energy is -108.06 eV per formula unit.

=====

A plane-wave DFT calculation with GGA-PBE was carried out for a relaxed structure of Ag2TeO4.

Geometry as POSCAR:
```
Ag2TeO4
1.0
0.000 5.202 6.544
3.107 0.000 6.544
3.107 5.202 0.000
Ag Te O
4 2 8
Cartesian
2.330 0.448 4.908
3.884 3.050 8.180
2.330 7.355 4.908
3.884 9.956 8.180
2.330 3.902 4.908
3.884 6.503 8.180
3.334 2.756 5.973
3.334 5.048 3.842
4.888 5.357 7.114
1.326 2.756 3.842
4.888 7.649 9.245
1.326 5.048 5.973
2.880 5.357 9.245
2.880 7.649 7.114
```

Its calculated volume is 15.11 Å³ per atom. Its density is 6395 kg/m3. Its crystal system is orthorhombic. The symmetry is No. 70. Its calculated total energy is -31.86 eV per formula unit.
........

In Oregon, various types of equipment are used to drill water wells, depending on factors such as geological conditions, well depth, and drilling method. Some common types of equipment include:

  • Drilling Rigs: These are the primary machines used to drill water wells. They come in different sizes and configurations depending on the depth and diameter of the well being drilled. Rotary rigs, cable tool rigs, and percussion rigs are some examples commonly used in Oregon.
  • Drill Bits: Drill bits come in various sizes and types to suit different geological formations. For example, tungsten carbide or diamond-tipped bits are used for drilling through hard rock formations, while softer formations may require different materials.
  • Drill Pipes: These are hollow steel pipes that are connected and lowered into the borehole during drilling. They provide structural support and allow for the circulation of drilling fluids to cool the drill bit and remove cuttings from the borehole.
  • Pumps and Compressors: Pumps are used to circulate drilling fluids (such as water or drilling mud) down the drill pipe and back up to the surface, carrying cuttings with them. Compressors may also be used to provide air for pneumatic drilling methods.
  • Casing and Screen: Once the well has been drilled, steel casing may be installed to prevent the collapse of the borehole and to protect the well from contamination. Screens may also be used to filter out sediment and prevent sand from entering the well.
  • Support Equipment: This includes auxiliary equipment such as trucks, trailers, generators, and water tanks, which are necessary for transporting drilling rigs to the site and providing power and water for the drilling operation.
  • Testing Equipment: After drilling is complete, various testing equipment may be used to assess the quality and quantity of water in the well. This can include water level indicators, water quality meters, and flow meters.

These are just some of the common types of equipment used to drill water wells in Oregon. The specific equipment and methods used will depend on the unique characteristics of each drilling project.

The safety of water from a water well depends on several factors, including the location of the well, the depth of the well, local geological conditions, and potential sources of contamination. Here are some points to consider:

  • Regulations and Testing: In many places, including Oregon, there are regulations in place to ensure the safety of water from private wells. These regulations may require periodic testing for contaminants such as bacteria, nitrates, metals, and other pollutants.
  • Well Construction: Proper construction of the well, including casing and sealing, can help prevent surface water and other contaminants from entering the well and affecting the water quality.
  • Geological Factors: The geological conditions surrounding the well can influence the quality of the water. For example, wells located in areas with naturally occurring arsenic or radon may have higher levels of these substances in the water.
  • Human Activities: Human activities such as agriculture, industrial operations, and improper waste disposal can introduce contaminants into groundwater, potentially affecting the safety of well water.
  • Maintenance: Regular maintenance of the well and its components, such as pumps and screens, can help ensure the continued safety and reliability of the water supply.
  • Testing and Treatment: Even if water from a well initially tests safe, it’s essential to continue monitoring its quality over time. Depending on the results of testing, treatment methods such as filtration, disinfection, or reverse osmosis may be necessary to remove contaminants.

Overall, while water from a well can be safe to drink, it’s essential for well owners to be proactive in ensuring its safety by following best practices for well construction, maintenance, testing, and treatment. Consulting with local health authorities or water professionals can provide valuable guidance on ensuring the safety of well water.